Input.
<<<
Structure and simulated powder diffractogram of LiTi2Zn2P2O10 (a crystal structure in Alexandria, relaxed with PBE; λ = 1.5418 Å (Cu Kα)).

Crystal structure
Cell lengths 5.496, 5.707, 7.533 Å; angles 109.14, 109.06, 92.72 degrees
Space group P1 (No. 1)
Inequivalent atoms, fractional coordinates:
1 Li 0.000 0.000 0.000 [1 per cell]
2 Ti 0.813 0.664 0.623 [1 per cell]
3 Ti 0.840 0.646 0.138 [1 per cell]
4 Zn 0.148 0.376 0.835 [1 per cell]
5 Zn 0.567 0.012 0.363 [1 per cell]
6 P 0.184 0.282 0.383 [1 per cell]
7 P 0.478 0.047 0.899 [1 per cell]
8 O 0.044 0.362 0.537 [1 per cell]
9 O 0.071 0.374 0.207 [1 per cell]
10 O 0.156 0.987 0.287 [1 per cell]
11 O 0.170 0.982 0.797 [1 per cell]
12 O 0.489 0.362 0.489 [1 per cell]
13 O 0.516 0.344 0.980 [1 per cell]
14 O 0.579 0.944 0.072 [1 per cell]
15 O 0.628 0.958 0.756 [1 per cell]
16 O 0.751 0.746 0.383 [1 per cell]
17 O 0.924 0.614 0.892 [1 per cell]

Peak list (10 most intense, 10 to 80 degrees two-theta, by angle)
3.428 Å, rel. 24.7, (0 1 -2); 3.402 Å, rel. 100.0, (1 1 0); 3.317 Å, rel. 9.9, (0 0 2); 3.274 Å, rel. 12.3, (1 1 -2); 2.556 Å, rel. 11.3, (1 -1 2); 2.543 Å, rel. 19.5, (1 -2 0); 2.478 Å, rel. 14.6, (2 -1 0); 2.369 Å, rel. 13.4, (0 1 -3); 1.770 Å, rel. 11.4, (0 3 0); 1.701 Å, rel. 11.3, (2 2 0)


Record 1
Na2MnO4: simulated XRD peak list (Cu Kα, 1.54184 Å), based on a crystal structure in the Materials Project, relaxed with GGA+U.

Largest 12 diffraction maxima, low angle first, 5 to 70 degrees two-theta:
2θ/deg  Rel. int.
17.40  16
21.83  89
26.33  19
30.37  100
31.74  29
35.21  14
40.62  24
43.88  24
44.50  23
49.17  11
53.97  17
63.19  23

Atomic structure:
```
data_Na2MnO4
_chemical_formula_sum 'Na4 Mn2 O8'
_symmetry_space_group_name_H-M 'P 1'
_symmetry_Int_Tables_number 1
_cell_length_a 5.886
_cell_length_b 5.886
_cell_length_c 6.768
_cell_angle_alpha 90.07
_cell_angle_beta 90.07
_cell_angle_gamma 120.01
loop_
_symmetry_equiv_pos_as_xyz
'x,y,z'
loop_
_atom_site_label
_atom_site_fract_x
_atom_site_fract_y
_atom_site_fract_z
_atom_site_occupancy
Na1 0.000 0.000 0.000 1
Na2 0.000 0.000 0.500 1
Na3 0.331 0.665 0.382 1
Na4 0.665 0.331 0.882 1
Mn1 0.334 0.667 0.819 1
Mn2 0.667 0.334 0.319 1
O1 0.180 0.357 0.736 1
O2 0.182 0.824 0.735 1
O3 0.327 0.661 0.060 1
O4 0.357 0.180 0.236 1
O5 0.641 0.822 0.734 1
O6 0.661 0.327 0.560 1
O7 0.822 0.641 0.234 1
O8 0.824 0.182 0.235 1
```

Record 2
CsVSeO5: simulated XRD peak list (Cu Kα, 1.54184 Å), based on a crystal structure in the Materials Project, relaxed with GGA+U.

Largest 12 diffraction maxima, low angle first, 5 to 70 degrees two-theta:
2θ/deg  Rel. int.
21.12  28
21.95  31
23.87  46
24.01  100
24.47  42
24.64  44
25.86  33
26.22  26
26.55  70
31.70  27
40.29  23
40.81  24

Atomic structure:
```
data_CsVSeO5
_chemical_formula_sum 'Cs4 V4 Se4 O20'
_symmetry_space_group_name_H-M 'P 1'
_symmetry_Int_Tables_number 1
_cell_length_a 8.166
_cell_length_b 8.048
_cell_length_c 9.573
_cell_angle_alpha 90.00
_cell_angle_beta 92.51
_cell_angle_gamma 90.00
loop_
_symmetry_equiv_pos_as_xyz
'x,y,z'
loop_
_atom_site_label
_atom_site_fract_x
_atom_site_fract_y
_atom_site_fract_z
_atom_site_occupancy
Cs1 0.095 0.000 0.134 1
Cs2 0.375 0.229 0.614 1
Cs3 0.625 0.729 0.386 1
Cs4 0.905 0.500 0.866 1
V1 0.084 0.536 0.271 1
V2 0.427 0.673 0.766 1
V3 0.573 0.173 0.234 1
V4 0.916 0.036 0.729 1
Se1 0.121 0.740 0.555 1
Se2 0.380 0.457 0.073 1
Se3 0.620 0.957 0.927 1
Se4 0.879 0.240 0.445 1
O1 0.001 0.598 0.460 1
O2 0.029 0.306 0.335 1
O3 0.063 0.127 0.826 1
O4 0.186 0.400 0.126 1
O5 0.221 0.598 0.668 1
O6 0.246 0.665 0.291 1
O7 0.336 0.497 0.900 1
O8 0.414 0.862 0.690 1
O9 0.429 0.069 0.312 1
O10 0.467 0.257 0.060 1
O11 0.533 0.757 0.940 1
O12 0.571 0.569 0.688 1
O13 0.586 0.362 0.310 1
O14 0.664 0.997 0.100 1
O15 0.754 0.165 0.709 1
O16 0.779 0.098 0.332 1
O17 0.814 0.900 0.874 1
O18 0.937 0.627 0.174 1
O19 0.971 0.806 0.665 1
O20 0.999 0.098 0.540 1
```

Record 3
>>>

To do.
Next, write out only the lines further up with the word "most" in them.

Outcome.
Peak list (10 most intense, 10 to 80 degrees two-theta, by angle)